HugeCTR Release Container

HugeCTR Release Container

Logo for HugeCTR Release Container
HugeCTR is a high-efficiency GPU framework designed for Click-Through-Rate (CTR) estimating training. HugeCTR is a component of the NVIDIA Merlin, a recommender system framework in open beta.
Latest Tag
April 4, 2023
Compressed Size
5.27 GB
Multinode Support
Multi-Arch Support
v2.3 (Latest) Security Scan Results
No results available.

This container is deprecated, please use one of the HugeCTR compatible containers found here.

HugeCTR is a recommender specific framework which is capable of distributed training across multiple GPUs and nodes for Click-Through-Rate (CTR) estimation. It is a component of NVIDIA Merlin, which is an open beta framework accelerating the entire pipeline from data ingestion and training to deploying GPU-accelerated recommender systems. HugeCTR supports model-parallel embedding tables and data-parallel neural networks and their variants such as Wide and Deep Learning (WDL), Deep Cross Network (DCN), DeepFM, and Deep Learning Recommendation Model (DLRM). For additional information, see HugeCTR User Guide.

Design Goals:

  • Fast: HugeCTR is a speed-of-light CTR model framework.
  • Dedicated: HugeCTR provides the essentials so that you can train your CTR model in an efficient manner.
  • Easy: Regardless of whether you are a data scientist or machine learning practitioner, we've made it easy for anybody to use HugeCTR.

Release Notes

What's New in Version 2.3

We’ve implemented the following enhancements to improve usability and performance:

  • Python Interface: To enhance the interoperability with NVTabular and other Python-based libraries, we're introducing a new Python interface for HugeCTR. If you are already using HugeCTR with JSON, the transition to Python will be seamless for you as you'll only have to locate the file and set the PYTHONPATH environment variable. You can still configure your model in your JSON config file, but the training options such as batch_size must be specified through hugectr.solver_parser_helper() in Python. For additional information regarding how to use the HugeCTR Python API and comprehend its API signature, see our Jupyter Notebook tutorial.

  • HugeCTR Embedding with Tensorflow: To help users easily integrate HugeCTR’s optimized embedding into their Tensorflow workflow, we now offer the HugeCTR embedding layer as a Tensorflow plugin. To better understand how to intall, use, and verify it, see our Jupyter notebook tutorial. It also demonstrates how you can create a new Keras layer EmbeddingLayer based on the helper code that we provide.

  • Model Oversubscription: To enable a model with large embedding tables that exceeds the single GPU's memory limit, we added a new model prefetching feature, giving you the ability to load a subset of an embedding table into the GPU in a coarse grained, on-demand manner during the training stage. To use this feature, you need to split your dataset into multiple sub-datasets while extracting the unique key sets from them. This feature can only currently be used with a Norm dataset format and its corresponding file list. This feature will eventually support all embedding types and dataset formats. We revised our criteo2hugectr tool to support the key set extraction for the Criteo dataset. For additional information, see our Python Jupyter Notebook to learn how to use this feature with the Criteo dataset. Please note that The Criteo dataset is a common use case, but model prefetching is not limited to only this dataset.

  • Enhanced AUC Implementation: To enhance the performance of our AUC computation on multi-node environments, we redesigned our AUC implementation to improve how the computational load gets distributed across nodes.

  • Epoch-Based Training: In addition to max_iter, a HugeCTR user can set num_epochs in the Solver clause of their JSON config file. This mode can only currently be used with Norm dataset formats and their corresponding file lists. All dataset formats will be supported in the future.

  • Multi-Node Training Tutorial: To better support multi-node training use cases, we added a new a step-by-step tutorial.

  • Power Law Distribution Support with Data Generator: Because of the increased need for generating a random dataset whose categorical features follows the power-law distribution, we revised our data generation tool to support this use case. For additional information, refer to the --long-tail description here.

  • Multi-GPU Preprocessing Script for Criteo Samples: Multiple GPUs can now be used when preparing the dataset for our samples. For additional information, see how is used to preprocess the Criteo dataset for DCN, DeepFM, and W&D samples.

Known Issues

  • Since the automatic plan file generator is not able to handle systems that contain one GPU, a user must manually create a JSON plan file with the following parameters and rename using the name listed in the HugeCTR configuration file: {"type": "all2all", "num_gpus": 1, "main_gpu": 0, "num_steps": 1, "num_chunks": 1, "plan": [[0, 0]], "chunks": [1]}.
  • If using a system that contains two GPUs with two NVLink connections, the auto plan file generator will print the following warning message: RuntimeWarning: divide by zero encountered in true_divide. This is an erroneous warning message and should be ignored.
  • The current plan file generator doesn't support a system where the NVSwitch or a full peer-to-peer connection between all nodes is unavailable.
  • Users need to set an export CUDA_DEVICE_ORDER=PCI_BUS_ID environment variable to ensure that the CUDA runtime and driver have a consistent GPU numbering.
  • LocalizedSlotSparseEmbeddingOneHot only supports a single-node machine where all the GPUs are fully connected such as NVSwitch.
  • HugeCTR version 2.2.1 crashes when running our DLRM sample on DGX2 due to a CUDA Graph issue. To run the sample on DGX2, disable the use of CUDA Graph with "cuda_graph": false even if it degrades the performance a bit. We are working on fixing this issue. This issue doesn't exist when using the DGX A100.
  • The model prefetching feature is only available in Python. Currently, a user can only use this feature with the DistributedSlotSparseEmbeddingHash embedding and the Norm dataset format on single GPUs. This feature will eventually support all embedding types and dataset formats.
  • The HugeCTR embedding TensorFlow plugin only works with single-node machines.
  • The HugeCTR embedding TensorFlow plugin assumes that the input keys are in int64 and its output is in float.
  • When using our embedding plugin, please note that the fprop_v3 function, which is available in, only works with DistributedSlotSparseEmbeddingHash.

Quickstart Guide for HugeCTR on NGC

The quickstart guide will help you launch the HugeCTR Container.

1. Launch the Container

Before running the container, use docker pull to ensure an up-to-data image is installed.

  1. In the Tags tab, find the tag of an image which you want to use.

  2. From Pull Command section, copy the docker pull ... command by clicking an icon on the right side. Then, replace the default tag with an the tag you decided to use, e.g., hugectr:.

  3. Execute the pull command on the host machine. It may take several minutes to pull the container image. Once it is finished, you are ready to launch your container.

  4. Launch the container.

If you have Docker 19.03 or later, a typical command to launch the container is:

docker run --gpus all --rm -u $(id -u):$(id -g) -v $(pwd):/hugectr -w /hugectr huge_ctr --train /hugectr/dlrm_fp16_1gpu.json

If you have Docker 19.02 or earlier, a typical command to launch the container is:

nvidia-docker run --rm -u $(id -u):$(id -g) -v $(pwd):/hugectr -w /hugectr huge_ctr --train /hugectr/dlrm_fp16_1gpu.json


  • --rm will delete the container when finished

### Between two parts of the entry: data records
=====
This record from Alexandria via LeMat-Bulk describes PmPu2CoN4 after structural relaxation. The functional is GGA-PBE.

The structure in POSCAR format:
```
PmPu2CoN4
1.0
3.427 0.000 0.000
-1.713 5.645 0.000
0.000 0.000 11.395
Pm Pu Co N
2 4 2 8
Direct
0.103 0.206 0.750 Pm
0.897 0.794 0.250 Pm
0.369 0.738 0.556 Pu
0.631 0.262 0.056 Pu
0.631 0.262 0.444 Pu
0.369 0.738 0.944 Pu
0.841 0.683 0.750 Co
0.159 0.317 0.250 Co
0.264 0.527 0.114 N
0.736 0.473 0.614 N
0.736 0.473 0.886 N
0.264 0.527 0.386 N
0.000 0.000 0.500 N
0.000 0.000 0.000 N
0.443 0.887 0.750 N
0.557 0.113 0.250 N
```

space-group type	Cmcm
energy relative to the elements, uncorrected	-101.3	kJ/mol of atoms

This record from Alexandria via LeMat-Bulk describes KV3Au after structural relaxation. The functional is GGA-PBE.

The structure in POSCAR format:
```
KV3Au
1.0
-0.488 -5.113 -0.344
4.284 -0.597 2.791
-2.812 -0.021 4.312
K Au V
1 1 3
Direct
0.500 0.500 0.500 K
0.000 0.000 0.000 Au
0.000 0.500 0.000 V
0.000 0.000 0.500 V
0.500 0.000 0.000 V
```

DFT formation energy	1321	meV/atom
space-group type	Pm-3m

This record from Alexandria via LeMat-Bulk describes Hf8In2Sn3 after structural relaxation. The functional is GGA-PBE.

The structure in POSCAR format:
```
Hf8In2Sn3
1.0
-0.739 5.415 2.023
-4.667 1.287 3.244
3.628 -0.322 10.582
Hf In Sn
8 2 3
Direct
0.723 0.723 0.830 Hf
0.277 0.277 0.170 Hf
0.225 0.720 0.335 Hf
0.720 0.225 0.335 Hf
0.720 0.720 0.335 Hf
0.280 0.775 0.665 Hf
0.775 0.280 0.665 Hf
0.280 0.280 0.665 Hf
0.633 0.633 0.101 In
0.367 0.367 0.899 In
0.000 0.000 0.000 Sn
0.811 0.811 0.568 Sn
0.189 0.189 0.432 Sn
```

DFT formation energy	119	meV/atom
space-group type	R-3m

This record from Alexandria via LeMat-Bulk describes GaCuPb2O6 after structural relaxation. The functional is GGA-PBE.

The structure in POSCAR format:
```
GaCuPb2O6
1.0
-3.809 2.743 -2.892
-0.176 -0.490 -5.489
-4.478 -3.147 -2.345
Ga Cu Pb O
1 1 2 6
Direct
0.322 0.321 0.036 Ga
0.761 0.761 0.717 Cu
0.529 0.529 0.412 Pb
0.016 0.016 0.951 Pb
0.585 0.241 0.216 O
0.241 0.958 0.216 O
0.958 0.585 0.215 O
0.427 0.699 0.751 O
0.699 0.123 0.751 O
0.123 0.427 0.751 O
```

space-group type	R3
energy relative to the elements, uncorrected	-96.7	kJ/mol of atoms

This record from Alexandria via LeMat-Bulk describes BaSr2ReI after structural relaxation. The functional is GGA-PBE.

The structure in POSCAR format:
```
BaSr2ReI
1.0
7.467 0.000 0.000
0.000 6.369 0.000
0.000 0.000 7.467
I Re Ba Sr
1 1 1 2
Direct
0.000 0.500 0.000 I
0.500 0.500 0.500 Re
0.000 0.000 0.000 Ba
0.000 0.000 0.500 Sr
0.500 0.000 0.000 Sr
```

space-group type	P4/mmm
energy relative to the elements, uncorrected	140.5	kJ/mol of atoms

This record from Alexandria via LeMat-Bulk describes TlZn2Re after structural relaxation. The functional is GGA-PBE.

The structure in POSCAR format:
```
TlZn2Re
1.0
9.301 -0.076 -0.045
8.843 2.884 -0.045
8.843 1.368 2.539
Re Tl Zn
1 1 2
Direct
0.250 0.250 0.250 Re
0.750 0.750 0.750 Tl
0.992 0.992 0.992 Zn
=====
### The data records stop here

  • -u $(id -u):$(id -g) makes the container run as the same user of the host machine

  • -v $(pwd):/hugectr mount directories to the container for importing and exporting data

  • :v2.3 chooses the v2.3 version of the HugeCTR Container

  • -w /hugectr make working directory inside the container as /hugectr

  • huge_ctr --train perform hugectr model training inside the container

  • /hugectr/dlrm_fp16_1gpu.json The absolute path of the josn file inside the container

    NOTE: If you mount directories to the container for importing and exporting data by -v, please double check if you are specifying your JSON config file path as the one visible inside the container. For example, if the real path of a JSON config file is /first/second/dlrm_fp16_1gpu.json,the path inside the container with the mount(-v /first/second/:/hugectr) is /hugectr/dlrm_fp16_1gpu.json. The absolute path of training data must follow the aforementioned rule as well.

For more instructions, see the HugeCTR Mainpage.

2. Train on multi-node environment

To train models using multiple nodes, please prefer to the tutorial.

3. Train by using the Python interface

== Materials data, kept here for reference ==
'''
Compound: Sm2GaO4
Source: OQMD via LeMat-Bulk
Functional: GGA-PBE
Structure: optimized geometry

abc: 9.3367 9.3367 9.3367
angles: 90.00 90.00 90.00
Last column: nearest neighbours and their distance in Å.
Space group Fd-3m (No. 227, origin choice 2)
Asymmetric unit:
1 Sm 0.0000 0.0000 0.0000 [16 per cell]  6 O 2.41
2 Ga 0.1250 0.1250 0.6250 [8 per cell]  4 O 1.90
3 O 0.0075 0.0075 0.7425 [32 per cell]  1 Ga 1.90

Summary:
Electronic total energy ... -7.207 eV/atom

----------

VASP calculation (PBE with a Hubbard U) on a geometry-optimized K2Li3MnF12 structure.

Values from the calculation:
V: 252.3 Å³/f.u.
E: -4.266 eV per atom
Crystal system: trigonal
Magnetic moment: 6.00 μB per formula unit

a = 7.335 Å, b = 7.335 Å, c = 7.335 Å
α = 55.86°, β = 55.86°, γ = 55.86°
Site moments in Bohr magnetons follow the coordinates.
Sites, in units of the cell vectors:
Li (0.000, 0.000, 0.500)  0.00
K (0.381, 0.381, 0.381)  0.00
F (0.346, 0.902, 0.346)  0.41
F (0.902, 0.346, 0.346)  0.41
F (0.654, 0.098, 0.654)  0.41
F (0.927, 0.927, 0.312)  0.03
K (0.619, 0.619, 0.619)  0.00
F (0.654, 0.654, 0.098)  0.41
F (0.073, 0.688, 0.073)  0.03
F (0.927, 0.312, 0.927)  0.03
F (0.312, 0.927, 0.927)  0.03
Li (0.000, 0.500, 0.000)  0.00
F (0.346, 0.346, 0.902)  0.41
F (0.073, 0.073, 0.688)  0.03
F (0.688, 0.073, 0.073)  0.03
Li (0.500, 0.000, 0.000)  0.00
Mn (0.000, 0.000, 0.000)  2.99
F (0.098, 0.654, 0.654)  0.41

----------

# ErMgIn2Pd4 | the Alexandria database | PBE | optimized geometry
data_ErMgIn2Pd4
_chemical_formula_sum 'Er3 Mg3 In6 Pd12'
_symmetry_space_group_name_H-M 'R -3 m'
_symmetry_Int_Tables_number 166
_symmetry_space_group_name_Hall '-R 3 2"'
_cell_length_a 4.7076
_cell_length_b 4.7076
_cell_length_c 22.7303
_cell_angle_alpha 90.00
_cell_angle_beta 90.00
_cell_angle_gamma 120.00
loop_
_atom_site_label
_atom_site_type_symbol
_atom_site_fract_x
_atom_site_fract_y
_atom_site_fract_z
_atom_site_occupancy
Er1 Er 0.0000 0.0000 0.0000 1
Mg1 Mg 0.0000 0.0000 0.5000 1
In1 In 0.0000 0.0000 0.2488 1
Pd1 Pd 0.0000 0.0000 0.1263 1
Pd2 Pd 0.0000 0.0000 0.3778 1
# magnetic moment = 0.000 μB per cell
# volume = 436 Å³/cell
# electronic total energy = -4.7930 eV/atom
# calculated formation energy = -573 kJ/mol of formula units

----------

No. 1
## NbZnSnN2 (PBE-GGA)

Data for a geometry-optimized NbZnSnN2 structure.

Energy relative to the elements, uncorrected, meV/atom: 487

a b c (Å): 4.0790 4.0790 5.3210
angles (deg): 90.00 90.00 90.00
Last column: nearest neighbours and their distance in Å.
Space group P4/mmm (No. 123)
Symmetry-distinct sites (fractional):
Nb1 0.0000 0.0000 0.0000 x1  4 N 2.04
Zn1 0.0000 0.0000 0.5000 x1  2 Nb 2.66, 4 Sn 2.88
Sn1 0.5000 0.5000 0.5000 x1  4 Zn 2.88
N1 0.0000 0.5000 0.0000 x2  2 Nb 2.04



No. 2
## NbZn2SnN (PBE-GGA)

Data for a geometry-optimized NbZn2SnN structure.
'''

If you'd like to quickly train a model using the Python interface, follow the following six steps. For more information, please refer the HugeCTR Mainpage.

  1. Start the container with your local host directory (/your/host/dir mounted) by running the following command:

    docker run --runtime=nvidia --rm -v /your/host/dir:/your/container/dir -w /your/container/dir -it -u $(id -u):$(id -g) -it

    NOTE: The /your/host/dir directory is just as visible as the /your/container/dir directory. The /your/host/dir directory is also your starting directory.

  2. Inside the container, copy the DCN JSON config file to our mounted directory (/your/container/dir).

    This config file specifies the DCN model architecture and its optimizer. With any Python use case, the solver clause within the config file is not used at all.

  3. Generate a synthetic dataset based on the config file by running the following command:

    data_generator ./dcn.json ./dataset_dir 434428 1

    The following set of files are created: ./file_list.txt, ./file_list_test.txt, and ./dataset_dir/*.

  4. Write a simple Python code using the hugectr module as shown here:

    import sys
    import hugectr
    from mpi4py import MPI
    def train(json_config_file):
      solver_config = hugectr.solver_parser_helper(batchsize = 16384,
                                                   batchsize_eval = 16384,
                                                   vvgpu = [[0,1,2,3,4,5,6,7]],
                                                   repeat_dataset = True)
    sess = hugectr.Session(solver_config, json_config_file)
    for i in range(10000):
      if (i % 100 == 0):
        loss = sess.get_current_loss()
        print("[HUGECTR][INFO] iter: {}; loss: {}".format(i, loss))
    if __name__ == "__main__":
      json_config_file = sys.argv[1]

    NOTE: Update the vvgpu (the active GPUs), batchsize, and batchsize_eval parameters according to your GPU system.

  5. Train the model by running the following command:

    python dcn.json

4. Synthetic Data Generation and Benchmark

For quick benchmarking and research use, you can generate a synthetic dataset like below. Without any additional modification to JSON file. Both Norm format (with Header) and Raw format (without Header) dataset can be generated with data_generator.

_Next to the page, the page also holds crystal structures_
********
An optimized crystal structure of Ta3NbSn. Source: the Alexandria database, functional PBE.

Values from the calculation:
- DOS at the Fermi energy: 4.1 states/eV/f.u.
- Final energy: -0.717 Ry/atom
- Space-group type: C2/c
- Total magnetic moment: 0.0 Bohr magnetons per cell
- Excess energy over the best structure of this formula in the dataset: 162 meV per atom

Unit cell a=8.431 b=8.431 c=5.713 alpha=100.41 beta=100.41 gamma=84.02
Sites, in units of the cell vectors:
Ta1 0.059 0.684 0.000
Ta2 0.139 0.500 0.387
Ta3 0.234 0.376 0.883
Ta4 0.316 0.941 0.500
Ta5 0.376 0.234 0.383
Ta6 0.500 0.139 0.887
Ta7 0.500 0.861 0.113
Ta8 0.624 0.766 0.617
Ta9 0.684 0.059 0.500
Ta10 0.766 0.624 0.117
Ta11 0.861 0.500 0.613
Ta12 0.941 0.316 0.000
Nb1 0.308 0.692 0.750
Nb2 0.433 0.567 0.250
Nb3 0.567 0.433 0.750
Nb4 0.692 0.308 0.250
Sn1 0.029 0.187 0.484
Sn2 0.187 0.029 0.984
Sn3 0.813 0.971 0.016
Sn4 0.971 0.813 0.516

----------

Arrangement A

First-principles (meta-GGA SCAN) data for a crystal of LiTlBr2 relaxed with PBEsol, as listed in the Alexandria database.

Summary:
- spin magnetization (μB/cell) = 0.000
- SG = Immm
- crystal system = orthorhombic

Cell: 5.682 5.682 5.682 Å, 138.27 110.51 84.45°
Fractional positions:
Li  0.000  0.000  0.000
Tl  0.500  0.500  0.000
Br  0.201  0.701  0.500
Br  0.799  0.299  0.500



Arrangement B

First-principles (meta-GGA SCAN) data for a crystal of LiTlBr2 relaxed with PBEsol, as listed in the Alexandria database.

Summary:
- spin magnetization (μB/cell) = 0.000
- SG = I-42d
- crystal system = tetragonal

Cell: 6.659 6.659 6.659 Å, 111.32 111.32 105.83°
Fractional positions:
Li  0.000  0.000  0.000
Li  0.750  0.250  0.500
Tl  0.250  0.750  0.500
Tl  0.500  0.500  0.000
Br  0.051  0.125  0.426
Br  0.375  0.949  0.074
Br  0.699  0.625  0.574
Br  0.875  0.301  0.926



What are the relative energies? In kJ/mol of atoms: arrangement A 10.2; arrangement B 0.0.



Arrangement A

First-principles (meta-GGA SCAN) data for a crystal of LiTl2Br relaxed with PBEsol, as listed in the Alexandria database.

Summary:
- spin magnetization (μB/cell) = 0.000
- SG = Fm-3m
- crystal system = cubic

Cell: 5.431 5.431 5.431 Å, 60.00 60.00 60.00°
Fractional positions:
Li  0.000  0.000  0.000
Tl  0.250  0.250  0.250
Tl  0.750  0.750  0.750
Br  0.500  0.500  0.500



Arrangement B

First-principles (meta-GGA SCAN) data for a crystal of LiTl2Br relaxed with PBEsol, as listed in the Alexandria database.

Summary:
- spin magnetization (μB/cell) = 0.000
- SG = P4/mmm
- crystal system = tetragonal

Cell: 5.422 5.422 3.587 Å, 90.00 90.00 90.00°
Fractional positions:
Li  0.000  0.000  0.000
Tl  0.000  0.500  0.500
Tl  0.500  0.000  0.500
Br  0.500  0.500  0.000



What are the relative energies? In kJ/mol of atoms: arrangement A 21.6; arrangement B 0.0.



Arrangement A

First-principles (meta-GGA SCAN) data for a crystal of LiW2Br relaxed with PBEsol, as listed in the Alexandria database.

Summary:
- spin magnetization (μB/cell) = 0.000
********

  • For Norm format:
$ ./data_generator your_config.json data_folder vocabulary_size max_nnz #files #samples per file
$ ./huge_ctr --train your_config.json
  • For Raw format:
$ ./data_generator your_config.json
$ ./huge_ctr --train your_config.json


  • data_folder: You have to specify the folder to store the generated data
  • vocabulary_size: Vocabulary size of your target dataset
  • max_nnz: [1, max_nnz] values will be generated for each feature (slot) in the dataset. Note that max_nnz*slot_num should be less than max_feature_num in your data layer.
  • #files: number of data file will be generated (optional)
  • #samples per file: number of samples per file (optional)

Supported Compute Capabilities

Compute Compatibility GPU
60 NVIDIA P100 (Pascal)
70 NVIDIA V100 (Volta)
75 NVIDIA T4 (Turing)
80 NVIDIA A100 (Ampere)

Technical Support

If you encounter any issues and/or have questions, please file an issue here so that we can provide you with the necessary resolutions and answers. To further advance the Merlin/HugeCTR Roadmap, we encourage you to share all the details regarding your recommender system pipeline using this survey.

Suggested Reading

HugeCTR User Guide:

Questions and Answers:

Sample models and their end-to-end instructions:

NVIDIA Developer Blog: Announcing NVIDIA Merlin: An Application Framework for Deep Recommender Systems